Forum Discussion

TwandDW's avatar
Jul 14, 2014

Ez pass locations

We have a class a diesel and are having problems with the ez pass being read on the windshield. Does anyone have any suggestions for placement or tips on where it should go to be read. It reads sometimes and not others. Ez pass customer service says it's the placement. We've tried upper windshield, middle windshield nod lower windshield all in the center of the window.
  • Richert wrote:
    No problems, mine is mounted about 2-3 inches above the bottom of the windshield as close to center as possible. Sounds like a weak transponder, tell them you need a new one.

    ^ X2
  • No problems, mine is mounted about 2-3 inches above the bottom of the windshield as close to center as possible. Sounds like a weak transponder, tell them you need a new one.
  • Never had a problem with mine: passenger side window, towards the middle post, just below the tint.
  • TwandDW wrote:
    We have a class a diesel and are having problems with the ez pass being read on the windshield. Does anyone have any suggestions for placement or tips on where it should go to be read. It reads sometimes and not others. Ez pass customer service says it's the placement. We've tried upper windshield, middle windshield nod lower windshield all in the center of the window.

********
This record from the Materials Project database describes MgFe4As4S4 after structural relaxation. The functional is GGA-PBE.

Properties
As for the total energy after the MP2020 corrections: -5.84 eV/atom. The value obtained for the formation energy from the elements is -0.4048 eV/atom. The energy relative to the lowest polymorph listed for this composition comes out at 0.015 eV/atom. The total magnetic moment comes out at 0.00 μB per formula unit.

The structure in POSCAR format:
```
MgFe4As4S4
1.0
-4.956 1.412 -2.546
-0.515 4.751 3.616
3.012 1.637 -4.985
Mg Fe As S
1 4 4 4
direct
0.500 0.000 0.000
0.496 0.728 0.231
0.996 0.279 0.284
0.504 0.272 0.769
0.004 0.721 0.716
0.657 0.857 0.595
0.107 0.150 0.862
0.343 0.143 0.405
0.893 0.850 0.138
0.647 0.379 0.174
0.142 0.642 0.339
0.353 0.621 0.826
0.858 0.358 0.661
```

~~~~~

Entry from the Materials Project: an optimized crystal structure of CsNp3 (PBE).

Structure (extended XYZ):
```
4
Lattice="4.672 0.000 0.000 0.000 4.672 0.000 0.000 0.000 4.672" Properties=species:S:1:pos:R:3 pbc="T T T"
Cs 0.000 0.000 0.000
Np 0.000 2.336 2.336
Np 2.336 0.000 2.336
Np 2.336 2.336 0.000
```

polymorph energy (0 for the lowest one)	0	meV/atom
total energy	-33.32	eV per cell
formation enthalpy at 0 K	1.6046	eV per atom
size of the total moment	12.22	μB per cell

~~~~~

Record 1
This record from the Materials Project database describes a geometry-optimized Ba8Bi4O17 structure. The functional is GGA-PBE.

The calculation puts the final energy at -5.91 eV per atom. Its symmetry is No. 8. Its energy of formation is -227 kJ per mole of atoms. The calculated volume comes out at 19.044 A^3/atom. Its crystal system is monoclinic. The calculation puts the calculated density at 6634 kg/m³.

Cell: 11.0612 11.0612 6.3980 Å, 106.19 106.19 47.80°
Element x y z (fractional)
Ba 0.0000 0.0000 0.0000
Ba 0.0706 0.5927 0.8010
Ba 0.2503 0.7948 0.5138
Ba 0.3583 0.3583 0.3294
Ba 0.4212 0.9524 0.1738
Ba 0.5927 0.0706 0.8010
Ba 0.7948 0.2503 0.5138
Ba 0.9524 0.4212 0.1738
Bi 0.1770 0.1770 0.6652
Bi 0.5005 0.5005 0.0251
Bi 0.6687 0.6687 0.6693
Bi 0.8307 0.8307 0.3278
O 0.0547 0.5872 0.3408
O 0.0904 0.0904 0.3716
O 0.0999 0.0999 0.8347
O 0.2454 0.2454 0.4715
O 0.2534 0.6879 0.0821
O 0.2583 0.2583 0.9673
O 0.4117 0.4117 0.7453
O 0.4135 0.9261 0.6613
O 0.5550 0.5550 0.3764
O 0.5821 0.5821 0.8911
O 0.5872 0.0547 0.3408
O 0.6879 0.2534 0.0821
O 0.7405 0.7405 0.4727
O 0.7514 0.7514 0.9972
O 0.9008 0.9008 0.6500
O 0.9084 0.9084 0.1829
O 0.9261 0.4135 0.6613


Record 2
This record from the Materials Project database describes a geometry-optimized Ba4Bi3O11 structure. The functional is GGA-PBE.

The calculation puts the final energy at -5.85 eV per atom. Its symmetry is No. 38. Its energy of formation is -209 kJ per mole of atoms. The calculated volume comes out at 19.185 A^3/atom. Its crystal system is orthorhombic. The calculation puts the calculated density at 6502 kg/m³.

Cell: 8.9353 6.2168 6.2168 Å, 89.99 90.00 90.00°
********

    I put our Illinois I-Pass transponder in the cabinet in front and above the driver's seat. the transponder has a plastic Velcro-like fastener on it and it sticks quite well to the fuzzy fabric that lines the cabinet. works well.
  • Romer1 wrote:
    Illinois I Pass has mounting instructions for vertical windshields hereVertical windshield IPass mounting

/*
1.
{"formula": "CsTbW2O8", "functional": "PBE+U", "state": "relaxed", "lattice_angstrom": [[5.388, 5.504, 0.000], [-5.388, 5.504, 0.000], [0.000, 4.872, 5.803]], "species": ["O", "Cs", "O", "W", "O", "W", "O", "W", "O", "Cs", "O", "O", "O", "O", "O", "O", "O", "O", "O", "O", "Tb", "O", "Tb", "W"], "frac_coords": [[0.628, 0.409, 0.535], [0.803, 0.197, 0.250], [0.621, 0.747, 0.566], [0.314, 0.302, 0.716], [0.222, 0.052, 0.298], [0.686, 0.698, 0.284], [0.253, 0.379, 0.934], [0.698, 0.686, 0.784], [0.052, 0.222, 0.798], [0.197, 0.803, 0.750], [0.371, 0.062, 0.874], [0.629, 0.938, 0.126], [0.778, 0.948, 0.702], [0.591, 0.372, 0.965], [0.379, 0.253, 0.434], [0.062, 0.371, 0.374], [0.948, 0.778, 0.202], [0.747, 0.621, 0.066], [0.372, 0.591, 0.465], [0.938, 0.629, 0.626], [0.777, 0.223, 0.750], [0.409, 0.628, 0.035], [0.223, 0.777, 0.250], [0.302, 0.314, 0.216]], "total_magnetization_mub_per_cell": 0.00}



2.
{"formula": "LiFe4B4O12", "functional": "PBE+U", "state": "relaxed", "lattice_angstrom": [[5.239, 0.000, 0.000], [0.194, 9.192, 0.000], [0.060, 0.140, 10.126]], "species": ["Fe", "O", "Fe", "Fe", "O", "B", "O", "O", "B", "O", "Fe", "O", "O", "O", "O", "O", "O", "O", "O", "Li", "O", "O", "Li", "B", "B", "Fe", "B", "O", "O", "B", "Fe", "O", "B", "O", "B", "O", "O", "O", "O", "Fe", "O", "Fe"], "frac_coords": [[0.184, 0.506, 0.131], [0.755, 0.363, 0.429], [0.833, 0.501, 0.878], [0.670, 0.337, 0.626], [0.084, 0.175, 0.888], [0.657, 0.998, 0.627], [0.806, 0.199, 0.175], [0.675, 0.066, 0.933], [0.161, 0.500, 0.628], [0.095, 0.505, 0.338], [0.823, 0.160, 0.383], [0.908, 0.490, 0.674], [0.311, 0.960, 0.094], [0.241, 0.632, 0.575], [0.679, 0.613, 0.375], [0.825, 0.433, 0.071], [0.820, 0.884, 0.632], [0.192, 0.540, 0.914], [0.745, 0.134, 0.578], [0.186, 0.167, 0.161], [0.593, 0.650, 0.873], [0.173, 0.112, 0.357], [0.333, 0.327, 0.900], [0.169, 0.838, 0.135], [0.826, 0.177, 0.884], [0.331, 0.663, 0.376], [0.675, 0.323, 0.120], [0.414, 0.325, 0.111], [0.208, 0.786, 0.827], [0.334, 0.661, 0.871], [0.310, 0.996, 0.874], [0.257, 0.865, 0.431], [0.337, 0.996, 0.376], [0.322, 0.383, 0.640], [0.842, 0.498, 0.379], [0.589, 0.008, 0.331], [0.293, 0.713, 0.179], [0.690, 0.302, 0.832], [0.910, 0.849, 0.132], [0.671, 0.999, 0.123], [0.404, 0.992, 0.666], [0.168, 0.833, 0.631]], "de_polymorph_mev_per_atom": 5.9, "total_magnetization_mub_per_cell": 38.00}



3.
*/

    1-2" from bottom, near center. Works finee, mine was reliably read in IL, IN OH & NY. Would think EZPass would work same.

    i see in those instructions they also offer the LICENSE PLATE mounted transponder for those that might have problems w/ the windshield based transponders.

    I don't know about the OP's tag, but ours are more like STICKERS w/ a lower power transponders than the older style plastic boxes.
  • Illinois I Pass has mounting instructions for vertical windshields hereVertical windshield IPass mounting

Attached: materials data:
********
*w*
## LaNi5H6 (PBE)

Data for crystalline LaNi5H6 at its relaxed geometry.

The space group is P6mm (No. 183) and the conventional cell measures 5.4109, 5.4109 and 4.0692 Å, with angles of 90.00, 90.00 and 120.00 degrees. The inequivalent atoms are La at (0.0000, 0.0000, 0.0000), Ni at (0.0000, 0.5000, 0.6254), Ni at (0.3333, 0.6667, 0.1149) and H at (0.2045, 0.4091, 0.4116).


*x*
## LaNi5H6 (PBE)

Data for crystalline LaNi5H6 at its relaxed geometry.

The space group is P3m1 (No. 156) and the conventional cell measures 5.3014, 5.3014 and 4.2013 Å, with angles of 90.00, 90.00 and 120.00 degrees. The inequivalent atoms are La at (0.0000, 0.0000, 0.0000), Ni at (0.3333, 0.6667, 0.1533), Ni at (0.5101, 0.0202, 0.6033), Ni at (0.6667, 0.3333, 0.1201), H at (0.0081, 0.5041, 0.9908) and H at (0.1770, 0.3540, 0.4654).


It turns out *x* is the most stable, with the second structure 64 meV/atom higher.

* * * * *

1.
A plane-wave DFT calculation with r²SCAN was carried out for an optimized crystal structure of HoGePt.

Space group: Pnma, No. 62
ρ, g/cm³: 12.56
ΔE_f, eV per atom: -1.249
Calculated volume, Å³ per atom: 19.07
DFT total energy, eV per cell: -407.95
Magnetic moment, μB/f.u.: 0.0

Cell: 4.3443 6.9741 7.5513 Å, 90.00 90.00 90.00°
With the nearest neighbours (Å) after each atom.
Atoms (fractional coordinates):
Ho1 0.2500 0.4974 0.7046  6 Pt 2.98-3.21, 6 Ge 3.00-3.18
Ho2 0.2500 0.9974 0.7954  6 Pt 2.98-3.21, 6 Ge 3.00-3.18
Ho3 0.7500 0.5026 0.2954  6 Pt 2.98-3.21, 6 Ge 3.00-3.18
Ho4 0.7500 0.0026 0.2046  6 Pt 2.98-3.21, 6 Ge 3.00-3.18
Ge1 0.2500 0.8095 0.4115  4 Pt 2.53-2.76
Ge2 0.2500 0.3095 0.0885  4 Pt 2.53-2.76
Ge3 0.7500 0.1905 0.5885  4 Pt 2.53-2.76
Ge4 0.7500 0.6905 0.9115  4 Pt 2.53-2.76
Pt1 0.2500 0.2052 0.4165  4 Ge 2.53-2.76
Pt2 0.2500 0.7052 0.0835  4 Ge 2.53-2.76
Pt3 0.7500 0.7948 0.5835  4 Ge 2.53-2.76
Pt4 0.7500 0.2948 0.9165  4 Ge 2.53-2.76

2.
A plane-wave DFT calculation with r²SCAN was carried out for an optimized crystal structure of Ba2V3HO9.

Space group: P2_1/m, No. 11
ρ, g/cm³: 4.61
ΔE_f, eV per atom: -2.772
Calculated volume, Å³ per atom: 13.76
DFT total energy, eV per cell: -388.12
Magnetic moment, μB/f.u.: 2.0

Cell: 6.1518 7.8899 9.2372 Å, 112.98 90.00 90.00°
With the nearest neighbours (Å) after each atom.
Atoms (fractional coordinates):
Ba1 0.7500 0.3225 0.4131  9 O 2.72-2.99
Ba2 0.2500 0.6775 0.5869  9 O 2.72-2.99
Ba3 0.7500 0.7388 0.2460  7 O 2.71-2.96
Ba4 0.2500 0.2612 0.7540  7 O 2.71-2.96
V1 0.5000 0.0000 0.0000  6 O 2.00-2.08
V2 0.0000 0.0000 0.0000  6 O 2.00-2.08
V3 0.2500 0.0501 0.3336  4 O 1.69-1.76
V4 0.7500 0.9499 0.6664  4 O 1.69-1.76
V5 0.7500 0.5643 0.8306  4 O 1.70-1.81
V6 0.2500 0.4357 0.1694  4 O 1.70-1.81
H1 0.7500 0.2758 0.0230  1 O 0.99
H2 0.2500 0.7242 0.9770  1 O 0.99
O1 0.4881 0.0100 0.2192  1 V 1.76
O2 0.9881 0.9900 0.7808  1 V 1.76
O3 0.5119 0.9900 0.7808  1 V 1.76
O4 0.0119 0.0100 0.2192  1 V 1.76
O5 0.5294 0.5031 0.7107  1 V 1.70
O6 0.0294 0.4969 0.2893  1 V 1.70
********

    1-2" from bottom, near center. Works finee, mine was reliably read in IL, IN OH & NY. Would think EZPass would work same.
  • Mine works well in the center of the windshield very low near the dash. This is about the same height as the top of the windshield in my car and truck.

    05 Travel Supreme Envoy
  • MY EZPASS works well on my front windshield except in NYC. Invariably the attendant must come over and I give him the unit which he scans with a device on the side of one of the posts, then I am on my way. Attendant always states this is a common occurrence
  • ours can be hit & miss too, even before i added the "brow line" tint.
    mine is not behind the brow-line tint...and it still gets read (more often than not).

    the ez-tag lanes in texas take a photo of your license plate every time you roll thru (even if it reads the tag)....if the license tag (photo) matches an account or ez tag associated or on file then it just bills the account.

    there are alternative devices that can be bolted on the front bumper (usually where the license tag goes).
  • TwandDW wrote:
    We have a class a diesel and are having problems with the ez pass being read on the windshield. Does anyone have any suggestions for placement or tips on where it should go to be read. It reads sometimes and not others. Ez pass customer service says it's the placement. We've tried upper windshield, middle windshield nod lower windshield all in the center of the window.

    We had problems with our first one right out of the box, had to send it back and get another one. I have mine just below the shaded part of the windshield. Works fine.